Given:
~~~
This record from Alexandria describes crystalline MgSbIr2 at its relaxed geometry. The functional is GGA-PBEsol.

extended XYZ file:
```
4
Lattice="3.035 0.000 0.000 0.000 3.549 0.000 0.000 0.000 5.946" Properties=species:S:1:pos:R:3 pbc="T T T"
Mg 0.000 0.000 0.000
Sb 0.000 0.000 2.973
Ir 1.517 1.775 1.474
Ir 1.517 1.775 4.472
```

ρ = 13.76 g cm⁻³
ΔE_f (raw) = -0.116 eV per atom
volume = 64.0 Å³/cell
DFT total energy = -6.5960 eV/atom

----------

Cd2FeNO | Alexandria | GGA+U | optimized geometry; VASP energy = -3.426 eV per atom; N(E_F) = 0.8 states/eV/cell
1.0
5.035 0.000 0.000
0.000 5.035 0.000
0.000 0.000 3.498
Cd Fe N O
2 1 1 1
Cartesian
0.000 2.517 0.000 Cd
2.517 0.000 0.000 Cd
0.000 0.000 0.000 Fe
0.000 0.000 1.749 N
2.517 2.517 1.749 O

----------

#1
Density functional theory data (GGA+U) for a relaxed BiWOF2 crystal.

symmetry = P4/mmm

Unit cell a=4.329 b=4.329 c=4.317 alpha=90.00 beta=90.00 gamma=90.00
Sites, in units of the cell vectors:
F1 0.500 0.000 0.000
F2 0.000 0.500 0.000
Bi1 0.500 0.500 0.500
O1 0.000 0.000 0.500
W1 0.000 0.000 0.000

#2
Density functional theory data (GGA+U) for a relaxed BiWOF2 crystal.

symmetry = P4/mmm

Unit cell a=4.560 b=4.323 c=4.560 alpha=90.00 beta=90.00 gamma=90.00
Sites, in units of the cell vectors:
Bi1 0.000 0.500 0.000
W1 0.500 0.500 0.500
F1 0.500 0.000 0.000
F2 0.000 0.000 0.500
O1 0.000 0.000 0.000

#3
Density functional theory data (GGA+U) for a relaxed BiWOF2 crystal.

symmetry = P4/mmm

Unit cell a=4.554 b=4.554 c=4.650 alpha=90.00 beta=90.00 gamma=90.00
Sites, in units of the cell vectors:
Bi1 0.000 0.000 0.000
W1 0.500 0.500 0.500
F1 0.000 0.500 0.000
F2 0.500 0.000 0.000
O1 0.000 0.000 0.500

Of them, #2 has the lowest stability.

----------

A) The following is a PBE calculation of a relaxed structure of PmZnPt, from Alexandria via LeMat-Bulk.

```
data_PmZnPt
_chemical_formula_sum 'Pm16 Zn16 Pt16'
_cell_length_a 7.6710
_cell_length_b 11.4713
_cell_length_c 12.3064
_cell_angle_alpha 90.00
_cell_angle_beta 90.00
_cell_angle_gamma 90.00
_space_group_name_H-M_alt 'F d d d'
_space_group_IT_number 70
loop_
_space_group_symop_operation_xyz
'x,y,z'
'-x,-y,-z'
'-x+1/4,-y+1/4,z'
'x+1/4,y+1/4,-z'
'x,-y+1/4,-z+1/4'
'-x,y+1/4,z+1/4'
'-x+1/4,y,-z+1/4'
'x+1/4,-y,z+1/4'
'x,y+1/2,z+1/2'
'-x,-y+1/2,-z+1/2'
'-x+1/4,-y+3/4,z+1/2'
'x+1/4,y+3/4,-z+1/2'
'x,-y+3/4,-z+3/4'
'-x,y+3/4,z+3/4'
'-x+1/4,y+1/2,-z+3/4'
'x+1/4,-y+1/2,z+3/4'
'x+1/2,y,z+1/2'
'-x+1/2,-y,-z+1/2'
'-x+3/4,-y+1/4,z+1/2'
'x+3/4,y+1/4,-z+1/2'
'x+1/2,-y+1/4,-z+3/4'
'-x+1/2,y+1/4,z+3/4'
'-x+3/4,y,-z+3/4'
'x+3/4,-y,z+3/4'
'x+1/2,y+1/2,z'
'-x+1/2,-y+1/2,-z'
'-x+3/4,-y+3/4,z'
'x+3/4,y+3/4,-z'
'x+1/2,-y+3/4,-z+1/4'
'-x+1/2,y+3/4,z+1/4'
'-x+3/4,y+1/2,-z+1/4'
'x+3/4,-y+1/2,z+1/4'
loop_
_atom_site_label
_atom_site_fract_x
_atom_site_fract_y
_atom_site_fract_z
Pm1 0.0000 0.0000 0.0000
Zn1 0.1250 0.0034 0.6250
Pt1 0.1250 0.1250 0.4446
```

DOS at the Fermi energy	32.902	states/eV per cell



B) The following is a PBE calculation of a relaxed structure of PmZnPt, from Alexandria via LeMat-Bulk.

```
data_PmZnPt
_chemical_formula_sum 'Pm2 Zn2 Pt2'
_cell_length_a 2.9861
_cell_length_b 2.9861
_cell_length_c 15.0322
_cell_angle_alpha 90.00
_cell_angle_beta 90.00
_cell_angle_gamma 90.00
_space_group_name_H-M_alt 'I 4 m m'
_space_group_IT_number 107
_space_group_name_Hall 'I 4 -2'
loop_
_atom_site_label
_atom_site_fract_x
_atom_site_fract_y
_atom_site_fract_z
Pm1 0.0000 0.0000 0.0000
Zn1 0.0000 0.0000 0.6571
Pt1 0.0000 0.0000 0.8211
```

DOS at the Fermi energy	2.577	states/eV per cell



A) is the most stable structure; the next one sits 789 meV/atom above it.



A) The following is a PBE calculation of a relaxed structure of Pm4ZnPt, from Alexandria via LeMat-Bulk.

```
data_Pm4ZnPt
_chemical_formula_sum 'Pm64 Zn16 Pt16'
_cell_length_a 13.8825
_cell_length_b 13.8825
_cell_length_c 13.8825
_cell_angle_alpha 90.00
_cell_angle_beta 90.00
_cell_angle_gamma 90.00
_space_group_name_H-M_alt 'F -4 3 m'
_space_group_IT_number 216
~~~
What to do:
Transcribe all of the rows earlier on with every line break kept, please.
Done:
This record from Alexandria describes crystalline MgSbIr2 at its relaxed geometry. The functional is GGA-PBEsol.

extended XYZ file:
```
4
Lattice="3.035 0.000 0.000 0.000 3.549 0.000 0.000 0.000 5.946" Properties=species:S:1:pos:R:3 pbc="T T T"
Mg 0.000 0.000 0.000
Sb 0.000 0.000 2.973
Ir 1.517 1.775 1.474
Ir 1.517 1.775 4.472
```

ρ = 13.76 g cm⁻³
ΔE_f (raw) = -0.116 eV per atom
volume = 64.0 Å³/cell
DFT total energy = -6.5960 eV/atom

----------

Cd2FeNO | Alexandria | GGA+U | optimized geometry; VASP energy = -3.426 eV per atom; N(E_F) = 0.8 states/eV/cell
1.0
5.035 0.000 0.000
0.000 5.035 0.000
0.000 0.000 3.498
Cd Fe N O
2 1 1 1
Cartesian
0.000 2.517 0.000 Cd
2.517 0.000 0.000 Cd
0.000 0.000 0.000 Fe
0.000 0.000 1.749 N
2.517 2.517 1.749 O

----------

#1
Density functional theory data (GGA+U) for a relaxed BiWOF2 crystal.

symmetry = P4/mmm

Unit cell a=4.329 b=4.329 c=4.317 alpha=90.00 beta=90.00 gamma=90.00
Sites, in units of the cell vectors:
F1 0.500 0.000 0.000
F2 0.000 0.500 0.000
Bi1 0.500 0.500 0.500
O1 0.000 0.000 0.500
W1 0.000 0.000 0.000

#2
Density functional theory data (GGA+U) for a relaxed BiWOF2 crystal.

symmetry = P4/mmm

Unit cell a=4.560 b=4.323 c=4.560 alpha=90.00 beta=90.00 gamma=90.00
Sites, in units of the cell vectors:
Bi1 0.000 0.500 0.000
W1 0.500 0.500 0.500
F1 0.500 0.000 0.000
F2 0.000 0.000 0.500
O1 0.000 0.000 0.000

#3
Density functional theory data (GGA+U) for a relaxed BiWOF2 crystal.

symmetry = P4/mmm

Unit cell a=4.554 b=4.554 c=4.650 alpha=90.00 beta=90.00 gamma=90.00
Sites, in units of the cell vectors:
Bi1 0.000 0.000 0.000
W1 0.500 0.500 0.500
F1 0.000 0.500 0.000
F2 0.500 0.000 0.000
O1 0.000 0.000 0.500

Of them, #2 has the lowest stability.

----------

A) The following is a PBE calculation of a relaxed structure of PmZnPt, from Alexandria via LeMat-Bulk.

```
data_PmZnPt
_chemical_formula_sum 'Pm16 Zn16 Pt16'
_cell_length_a 7.6710
_cell_length_b 11.4713
_cell_length_c 12.3064
_cell_angle_alpha 90.00
_cell_angle_beta 90.00
_cell_angle_gamma 90.00
_space_group_name_H-M_alt 'F d d d'
_space_group_IT_number 70
loop_
_space_group_symop_operation_xyz
'x,y,z'
'-x,-y,-z'
'-x+1/4,-y+1/4,z'
'x+1/4,y+1/4,-z'
'x,-y+1/4,-z+1/4'
'-x,y+1/4,z+1/4'
'-x+1/4,y,-z+1/4'
'x+1/4,-y,z+1/4'
'x,y+1/2,z+1/2'
'-x,-y+1/2,-z+1/2'
'-x+1/4,-y+3/4,z+1/2'
'x+1/4,y+3/4,-z+1/2'
'x,-y+3/4,-z+3/4'
'-x,y+3/4,z+3/4'
'-x+1/4,y+1/2,-z+3/4'
'x+1/4,-y+1/2,z+3/4'
'x+1/2,y,z+1/2'
'-x+1/2,-y,-z+1/2'
'-x+3/4,-y+1/4,z+1/2'
'x+3/4,y+1/4,-z+1/2'
'x+1/2,-y+1/4,-z+3/4'
'-x+1/2,y+1/4,z+3/4'
'-x+3/4,y,-z+3/4'
'x+3/4,-y,z+3/4'
'x+1/2,y+1/2,z'
'-x+1/2,-y+1/2,-z'
'-x+3/4,-y+3/4,z'
'x+3/4,y+3/4,-z'
'x+1/2,-y+3/4,-z+1/4'
'-x+1/2,y+3/4,z+1/4'
'-x+3/4,y+1/2,-z+1/4'
'x+3/4,-y+1/2,z+1/4'
loop_
_atom_site_label
_atom_site_fract_x
_atom_site_fract_y
_atom_site_fract_z
Pm1 0.0000 0.0000 0.0000
Zn1 0.1250 0.0034 0.6250
Pt1 0.1250 0.1250 0.4446
```

DOS at the Fermi energy	32.902	states/eV per cell



B) The following is a PBE calculation of a relaxed structure of PmZnPt, from Alexandria via LeMat-Bulk.

```
data_PmZnPt
_chemical_formula_sum 'Pm2 Zn2 Pt2'
_cell_length_a 2.9861
_cell_length_b 2.9861
_cell_length_c 15.0322
_cell_angle_alpha 90.00
_cell_angle_beta 90.00
_cell_angle_gamma 90.00
_space_group_name_H-M_alt 'I 4 m m'
_space_group_IT_number 107
_space_group_name_Hall 'I 4 -2'
loop_
_atom_site_label
_atom_site_fract_x
_atom_site_fract_y
_atom_site_fract_z
Pm1 0.0000 0.0000 0.0000
Zn1 0.0000 0.0000 0.6571
Pt1 0.0000 0.0000 0.8211
```

DOS at the Fermi energy	2.577	states/eV per cell



A) is the most stable structure; the next one sits 789 meV/atom above it.



A) The following is a PBE calculation of a relaxed structure of Pm4ZnPt, from Alexandria via LeMat-Bulk.

```
data_Pm4ZnPt
_chemical_formula_sum 'Pm64 Zn16 Pt16'
_cell_length_a 13.8825
_cell_length_b 13.8825
_cell_length_c 13.8825
_cell_angle_alpha 90.00
_cell_angle_beta 90.00
_cell_angle_gamma 90.00
_space_group_name_H-M_alt 'F -4 3 m'
_space_group_IT_number 216